(What to do)
The reader should work out how many lines below have the word "Properties" in them; a number is enough.

(File)
C49H95BrNO15 | ωB97M-V/def2-TZVPD

Geometry as XYZ:
```
161
Properties=species:S:1:pos:R:3:forces:R:3:mulliken_charge:R:1
C 4.006 2.000 5.114 -0.95 0.25 -0.44 -1.14
C 3.367 1.838 3.732 1.55 0.35 0.52 0.87
O 4.065 1.835 2.747 -0.71 -0.03 -0.15 -0.50
O 2.028 1.765 3.769 0.72 -0.22 -0.32 -0.30
C 1.410 1.416 2.534 -2.02 -0.12 -0.30 -1.14
C 0.821 0.014 2.578 0.56 0.48 0.47 1.09
C 0.795 -0.778 1.512 0.23 -0.48 0.08 0.58
C 1.354 -0.475 0.150 -0.08 -0.16 -0.49 -0.62
C 2.657 -1.251 -0.205 -0.15 -0.64 -0.14 1.42
O 3.732 -0.404 -0.618 -0.06 0.23 0.32 -0.54
C 3.206 -2.164 0.887 1.31 0.05 -0.20 -1.59
N 3.698 -1.423 2.074 -0.65 -0.49 0.13 -0.31
C 0.138 -2.144 1.634 -0.19 0.36 -0.44 -0.07
O -0.405 -2.594 0.650 0.19 -0.15 0.34 -0.65
C 0.183 -2.798 2.983 0.04 1.03 -0.27 0.17
C 0.239 -1.947 4.095 0.07 0.26 -0.94 0.35
C 0.294 -2.517 5.335 -0.02 0.68 1.41 -0.59
C 0.301 -3.883 5.502 -0.02 -0.93 0.55 -0.70
C 0.230 -4.706 4.411 0.02 -0.19 -0.57 0.21
Br 0.244 -6.605 4.580 0.01 0.37 0.22 -0.19
C 0.164 -4.163 3.137 0.10 -1.07 -1.03 1.02
C 0.065 -5.059 1.895 -0.99 -0.78 -1.45 -0.26
O -1.108 -5.387 1.604 0.10 0.19 0.76 -0.74
O 1.087 -5.365 1.255 0.59 0.58 0.77 -0.78
C 0.224 -0.459 3.878 -0.19 -0.26 -0.06 -0.11
O -0.264 0.301 4.691 0.30 -0.01 -0.15 -0.67
H 3.822 1.093 5.694 0.13 0.17 0.06 0.29
H 5.064 2.215 4.985 -0.08 -0.25 0.01 0.24
H 3.525 2.854 5.604 0.05 -0.28 0.13 0.34
H 0.541 2.084 2.423 0.30 0.12 0.23 0.18
H 2.019 1.569 1.647 0.47 -0.13 0.44 0.50
H 1.517 0.588 -0.052 -0.07 -0.06 0.31 0.97
H 0.595 -0.796 -0.574 0.08 0.12 0.16 -0.83
H 2.439 -1.903 -1.066 -0.18 0.03 0.24 -0.18
H 3.366 0.372 -1.051 0.00 -0.03 -0.05 0.37
H 4.083 -2.662 0.442 -0.38 -0.08 -0.20 0.63
H 2.532 -2.986 1.155 -0.16 0.32 -0.06 0.27
H 4.702 -1.309 2.022 -0.05 0.14 -0.10 0.18
H 3.527 -2.034 2.866 0.09 0.22 0.14 0.21
H 0.342 -1.902 6.230 -0.06 0.13 -0.20 0.49
H 0.349 -4.351 6.480 0.03 0.30 0.04 0.39
C -4.844 -2.849 3.837 0.12 0.06 -0.01 -1.01
C -5.080 -2.482 5.293 -0.07 -0.02 -0.17 -0.25
O -3.993 -1.807 5.895 0.06 -0.06 0.26 -0.46
C -3.620 -0.572 5.304 0.01 0.11 -0.09 0.11
C -4.727 0.468 5.310 -0.09 -0.12 0.02 -1.20
H -3.951 -3.468 3.738 -0.03 -0.02 -0.01 0.25
H -5.699 -3.401 3.442 0.01 -0.02 0.03 0.42
H -4.700 -1.967 3.212 -0.08 0.00 -0.01 0.24
H -5.224 -3.397 5.871 0.11 0.05 0.09 0.35
H -6.002 -1.897 5.405 -0.01 0.03 -0.06 0.24
H -3.241 -0.737 4.290 -0.03 0.03 -0.02 0.06
H -2.778 -0.199 5.888 0.04 -0.16 0.02 0.29
H -5.596 0.148 4.732 0.02 0.07 -0.06 0.19
H -4.368 1.404 4.880 0.02 -0.01 0.01 0.46
H -5.068 0.659 6.329 0.01 0.03 -0.01 0.31
C -1.211 -2.390 -4.131 0.00 0.18 -0.07 -0.95
C -0.536 -1.617 -3.008 -0.17 -0.14 -0.02 -0.01
O 0.008 -0.367 -3.413 0.28 0.07 0.00 -0.46
C -0.909 0.570 -3.942 -0.07 0.05 0.02 -0.03
C -2.012 0.958 -2.972 -0.08 -0.09 0.05 -1.07
H -0.510 -2.568 -4.949 0.02 -0.05 0.04 0.32
H -1.569 -3.350 -3.760 0.04 0.01 -0.05 0.09
H -2.066 -1.853 -4.546 -0.05 -0.02 0.08 0.27
H 0.302 -2.203 -2.629 0.06 0.11 0.01 0.28
H -1.221 -1.477 -2.166 -0.03 -0.04 -0.01 0.26
H -1.329 0.197 -4.885 -0.09 -0.02 0.04 0.15
H -0.332 1.461 -4.192 0.11 -0.08 0.00 0.27
H -2.630 0.104 -2.691 -0.04 0.02 -0.05 0.32
H -2.664 1.709 -3.423 0.05 0.02 -0.01 0.37
H -1.585 1.369 -2.055 0.01 0.02 -0.02 0.24
C -3.412 -7.899 -4.156 -0.07 0.05 0.09 -1.08
C -1.940 -7.615 -4.408 0.01 -0.06 0.06 -0.32
O -1.528 -6.329 -4.001 0.01 0.26 -0.25 -0.39
C -1.689 -6.029 -2.615 0.00 -0.15 0.20 0.34
C -0.914 -6.944 -1.695 0.03 -0.20 0.13 -0.94
H -4.035 -7.158 -4.661 0.02 -0.02 -0.03 0.28
H -3.676 -8.892 -4.526 0.02 0.02 -0.03 0.40
H -3.657 -7.864 -3.094 0.04 -0.07 0.01 0.28
H -1.747 -7.669 -5.482 0.06 0.12 0.01 0.33
H -1.312 -8.382 -3.940 -0.07 -0.04 0.06 0.33
H -2.753 -6.011 -2.355 0.01 -0.05 0.02 0.23
H -1.321 -5.013 -2.478 0.02 0.00 -0.13 -0.26
H -1.230 -7.988 -1.770 -0.11 0.03 -0.02 0.29
H -1.045 -6.633 -0.656 0.11 0.10 -0.01 0.17
H 0.150 -6.909 -1.935 0.01 0.07 0.06 0.32
C 7.095 1.750 1.144 0.00 -0.24 -0.10 -0.91
C 7.847 1.777 2.461 -0.02 0.14 -0.14 -0.25
O 8.181 0.491 2.959 -0.01 -0.07 0.26 -0.45

(Here it is)
1